The reader should repeat the calculation results further down from the line with "3.4203, 3.4203," to the end verbatim.

=====
# 1
First-principles (SCAN) data for a PBEsol-optimized structure of Rb2Si3SnO9, as listed in Alexandria.

Values from the calculation:
Magnetization ... 0.0 μB per formula unit
Formation energy (no corrections) ... -259.7 kJ per mole of atoms

Cell lengths 6.9991, 6.9991, 10.1126 Å; angles 90.00, 90.00, 120.00 degrees
With the nearest neighbours (Å) after each atom.
Space group P6_3/m (No. 176)
Symmetry-distinct sites (fractional):
Rb 0.3333 0.6667 0.0583 [4 per cell]  9 O 2.90-3.22
Si 0.1352 0.7524 0.7500 [6 per cell]  4 O 1.61-1.67
Sn 0.0000 0.0000 0.0000 [2 per cell]  6 O 2.05
O 0.0284 0.7731 0.6134 [12 per cell]  1 Si 1.61
O 0.0868 0.4935 0.7500 [6 per cell]  2 Si 1.65-1.67

---

# 2
First-principles (SCAN) data for a PBEsol-optimized structure of Na2TaPd2, as listed in Alexandria.

Values from the calculation:
Magnetization ... 0.0 μB per formula unit
Energy relative to the elements ... 0.7877 eV/atom

Cell lengths 4.6348, 4.6348, 7.9701 Å; angles 90.00, 90.00, 90.00 degrees
With the nearest neighbours (Å) after each atom.
Space group I4/mmm (No. 139)
Symmetry-distinct sites (fractional):
Na 0.0000 0.0000 0.1272 [4 per cell]  1 Na 2.03
Ta 0.0000 0.0000 0.5000 [2 per cell]  2 Na 2.97, 8 Pd 3.06
Pd 0.0000 0.5000 0.2500 [4 per cell]  4 Na 2.52

---

# 3
First-principles (SCAN) data for a PBEsol-optimized structure of NiPbCl2, as listed in Alexandria.

Values from the calculation:
Magnetization ... 1.5 μB per formula unit
Formation energy (no corrections) ... -59.7 kJ per mole of atoms

Cell lengths 3.4203, 3.4203, 24.1486 Å; angles 90.00, 90.00, 120.00 degrees
With the nearest neighbours (Å) after each atom.
Space group R-3m (No. 166, hexagonal axes)
Symmetry-distinct sites (fractional):
Ni 0.0000 0.0000 0.0000 [3 per cell]  6 Cl 2.38
Pb 0.0000 0.0000 0.5000 [3 per cell]  6 Cl 3.34, 6 Pb 3.42
Cl 0.0000 0.0000 0.2782 [6 per cell]  3 Ni 2.38

----------

[1]
TbPrPuMg | GGA-PBE | optimized geometry

Calculated values
The crystal system is cubic. The total moment comes out at 6.2 μB per formula unit. For the energy relative to the elements, the calculation gives 154.1 meV/atom. The total energy comes out at -6.180 eV/atom. As for the space group: No. 216.

Cell: 5.5382 5.5382 5.5382 Å, 60.00 60.00 60.00°
Site moments in Bohr magnetons follow the coordinates.
Atoms (fractional coordinates):
Pr1 0.7500 0.7500 0.7500  0.12
Mg1 0.5000 0.5000 0.5000  -0.01
Tb1 0.2500 0.2500 0.2500  0.16
Pu1 0.0000 0.0000 0.0000  5.56


[2]
Ba6AuO5 | GGA-PBE | optimized geometry

Calculated values
The crystal system is monoclinic. The total moment comes out at 0.0 μB per formula unit. As for the uncorrected formation energy: -2.04 eV/atom. The total energy comes out at -5.336 eV/atom. As for the space group: No. 12.

Cell: 7.1177 7.1705 7.1277 Å, 59.80 80.00 69.80°
Atoms (fractional coordinates):
Ba1 0.7501 0.0960 0.3733
Ba2 0.2499 0.5306 0.3733
Ba3 0.2952 0.2615 0.0000
Ba4 0.7048 0.7385 0.0000
Ba5 0.7501 0.4694 0.6267
Ba6 0.2499 0.9040 0.6267
Au1 0.0000 0.0000 0.0000
O1 0.5000 0.1657 0.6685
O2 0.0000 0.3245 0.3511
O3 0.5000 0.5000 0.0000
O4 0.0000 0.6755 0.6489
O5 0.5000 0.8343 0.3315


[3]
SrLa2Eu | GGA-PBE | optimized geometry

Calculated values
The calculation puts the energy relative to the lowest polymorph listed for this composition at 0.000 eV/atom. The crystal system is trigonal. The total moment comes out at 7.6 μB per formula unit. For the energy relative to the elements, the calculation gives 102.3 meV/atom. The total energy comes out at -5.350 eV/atom. As for the space group: No. 166.

Cell: 3.8470 3.8470 13.0577 Å, 81.53 81.53 60.00°
Site moments in Bohr magnetons follow the coordinates.
Atoms (fractional coordinates):
Eu1 0.0000 0.0000 0.0000  6.99
Sr1 0.5000 0.5000 0.5000  -0.02
La1 0.7464 0.7464 0.7608  0.04
La2 0.2536 0.2536 0.2392  0.04


[4]
ErTm5Sc3 | GGA-PBE | optimized geometry

Calculated values
=====

Cell lengths 3.4203, 3.4203, 24.1486 Å; angles 90.00, 90.00, 120.00 degrees
With the nearest neighbours (Å) after each atom.
Space group R-3m (No. 166, hexagonal axes)
Symmetry-distinct sites (fractional):
Ni 0.0000 0.0000 0.0000 [3 per cell]  6 Cl 2.38
Pb 0.0000 0.0000 0.5000 [3 per cell]  6 Cl 3.34, 6 Pb 3.42
Cl 0.0000 0.0000 0.2782 [6 per cell]  3 Ni 2.38

----------

[1]
TbPrPuMg | GGA-PBE | optimized geometry

Calculated values
The crystal system is cubic. The total moment comes out at 6.2 μB per formula unit. For the energy relative to the elements, the calculation gives 154.1 meV/atom. The total energy comes out at -6.180 eV/atom. As for the space group: No. 216.

Cell: 5.5382 5.5382 5.5382 Å, 60.00 60.00 60.00°
Site moments in Bohr magnetons follow the coordinates.
Atoms (fractional coordinates):
Pr1 0.7500 0.7500 0.7500  0.12
Mg1 0.5000 0.5000 0.5000  -0.01
Tb1 0.2500 0.2500 0.2500  0.16
Pu1 0.0000 0.0000 0.0000  5.56


[2]
Ba6AuO5 | GGA-PBE | optimized geometry

Calculated values
The crystal system is monoclinic. The total moment comes out at 0.0 μB per formula unit. As for the uncorrected formation energy: -2.04 eV/atom. The total energy comes out at -5.336 eV/atom. As for the space group: No. 12.

Cell: 7.1177 7.1705 7.1277 Å, 59.80 80.00 69.80°
Atoms (fractional coordinates):
Ba1 0.7501 0.0960 0.3733
Ba2 0.2499 0.5306 0.3733
Ba3 0.2952 0.2615 0.0000
Ba4 0.7048 0.7385 0.0000
Ba5 0.7501 0.4694 0.6267
Ba6 0.2499 0.9040 0.6267
Au1 0.0000 0.0000 0.0000
O1 0.5000 0.1657 0.6685
O2 0.0000 0.3245 0.3511
O3 0.5000 0.5000 0.0000
O4 0.0000 0.6755 0.6489
O5 0.5000 0.8343 0.3315


[3]
SrLa2Eu | GGA-PBE | optimized geometry

Calculated values
The calculation puts the energy relative to the lowest polymorph listed for this composition at 0.000 eV/atom. The crystal system is trigonal. The total moment comes out at 7.6 μB per formula unit. For the energy relative to the elements, the calculation gives 102.3 meV/atom. The total energy comes out at -5.350 eV/atom. As for the space group: No. 166.

Cell: 3.8470 3.8470 13.0577 Å, 81.53 81.53 60.00°
Site moments in Bohr magnetons follow the coordinates.
Atoms (fractional coordinates):
Eu1 0.0000 0.0000 0.0000  6.99
Sr1 0.5000 0.5000 0.5000  -0.02
La1 0.7464 0.7464 0.7608  0.04
La2 0.2536 0.2536 0.2392  0.04


[4]
ErTm5Sc3 | GGA-PBE | optimized geometry

Calculated values